Tenets of Strategic Planning
Elevate the professionalism of IT Leadership and Staff
- Create opportunities for CIOs to participate in decisions that affect more broadly in scope and constituencies
- Produce white papers that speak to a broader context other than IT
- Continue workshops on relevant topics (strategic planning)
- Improve communication at all levels through quarterly reports
• Molecular data from another source follow:
********
{
  "formula": "C18H19N3S",
  "method": "ωB97M-V with the def2-TZVPD basis set",
  "species": ["C", "C", "C", "C", "C", "C", "N", "C", "S", "N", "C", "C", "C", "C", "N", "C", "C", "C", "C", "C", "C", "C", "H", "H", "H", "H", "H", "H", "H", "H", "H", "H", "H", "H", "H", "H", "H", "H", "H", "H", "H"],
  "positions_angstrom": [[0.122882, -2.912354, -4.612261], [0.140143, -2.042418, -3.392654], [0.247132, -0.660432, -3.521017], [0.237087, 0.148426, -2.400647], [0.139974, -0.400711, -1.134570], [0.060966, -1.782783, -0.989196], [-0.063593, -2.390642, 0.264562], [0.474911, -2.032105, 1.462485], [-0.097996, -2.780662, 2.824757], [1.495057, -1.159364, 1.470369], [2.044120, -0.572725, 2.666396], [1.745968, 0.932057, 2.739846], [0.291795, 1.198789, 2.513686], [-0.760305, 0.655085, 3.193402], [-1.940737, 1.078177, 2.650531], [-1.678569, 1.903926, 1.598112], [-2.537186, 2.562869, 0.727470], [-1.973741, 3.336148, -0.263866], [-0.586758, 3.458986, -0.388055], [0.270380, 2.810479, 0.471087], [-0.269846, 2.012003, 1.481464], [0.046089, -2.590882, -2.124688], [-0.753777, -2.690085, -5.219632], [1.004976, -2.726908, -5.223182], [0.099723, -3.964924, -4.342770], [0.323174, -0.222385, -4.505090], [0.289938, 1.221976, -2.503112], [0.076999, 0.246876, -0.274596], [-0.627043, -3.229050, 0.306313], [1.789087, -0.766153, 0.587645], [1.588557, -1.091914, 3.511721], [3.125773, -0.743221, 2.687874], [2.328171, 1.458610, 1.980833], [2.061084, 1.298001, 3.719868], [-0.754059, -0.021330, 4.025848], [-2.853983, 0.795449, 2.961940], [-3.608734, 2.469284, 0.826398], [-2.612219, 3.860379, -0.959356], [-0.185768, 4.079973, -1.176175], [1.340755, 2.915405, 0.363333], [-0.040428, -3.661850, -2.005073]],
  "atomic_forces_ev_per_a": [[-0.014, 0.012, -0.012], [-0.044, 0.070, 0.060], [-0.006, -0.003, 0.018], [0.061, -0.014, -0.106], [-0.047, -0.126, 0.120], [0.145, 0.312, -0.369], [-0.123, -0.178, -0.089], [0.247, -0.142, -0.030], [-0.335, -0.437, 0.620], [-0.163, -0.018, -0.505], [0.244, 0.262, 0.271], [-0.139, -0.253, 0.048], [0.001, -0.040, 0.246], [0.381, 0.062, 0.056], [-0.376, -0.078, 0.148], [0.346, 0.267, -0.340], [-0.102, 0.007, -0.026], [-0.179, -0.011, -0.002], [0.175, 0.096, -0.151], [-0.006, -0.025, 0.023], [-0.450, 0.002, 0.119], [0.035, 0.088, 0.077], [-0.036, -0.044, -0.076], [0.037, -0.044, -0.070], [0.002, -0.082, -0.041], [0.010, 0.056, -0.120], [-0.005, 0.108, 0.000], [-0.034, 0.045, 0.090], [0.069, 0.209, 0.163], [-0.040, -0.068, 0.022], [0.154, 0.048, -0.123], [-0.098, -0.042, 0.070], [0.057, 0.065, 0.047], [0.139, 0.047, -0.067], [-0.011, -0.152, 0.102], [0.105, 0.015, -0.047], [-0.112, 0.011, -0.022], [-0.068, 0.034, -0.041], [0.042, 0.052, -0.054], [0.099, 0.025, -0.015], [0.038, -0.134, 0.005]],
********
• The entry goes on:
- Increase transparency and accountability
- Provide skill building & developmental workshops for staff – Communication, Customer Focus, Negotiation, Advocacy, etc.
- Rotational assignments within and across Campuses
Transform the UW System’s capacity to leverage academic and administrative technology-enabled services
- Create and implement deliberate processes of innovation and scaling successes and adaptability for System-wide services
- Design and implement a student-centric ecosystem (Big Data & Predictive Analytics)
- Create a blended strategy that builds on online learning and course delivery with the advantages of premise-based approaches that accentuates learning through experiential and team-based setting (Adaptive Learning, Learning & Collaboration Spaces)
- Not only deliver value to our customers and stakeholders but also change the industry of learning, teaching, research, and outreach
Change IT from a Cost Center to a Value Center
- Change how leadership thinks about investing in technologies, application systems, process, and policies
- Increase transparency and accountability in everything
- Demonstrate, deliver, and document initiatives that produce cost savings and productivity enhancements
- Create a standard IT architecture for UW System (VoIP, Security Framework, Disaster Recovery)
- Provide System-wide contracts to deliver products & services
- Create System-wide policies
- Reduce and then eliminate redundant systems and non-valued processes (Process redesign, standardization)
- Create an environment that supports interoperability among systems
- Actively pursue strategic sourcing for services (shared services, cloud services, third-party provisioners)
Substantially Increase Investment in Academic Technology
- Invest in outcome-oriented systems, measurements, and processes
- Create leading indicators on progress
- Spur innovation at the Campus as well as at the System (Innovation Fund)
- Harvest savings from administrative processes and services
UW Libraries Strategic Direction
The UW Libraries contribute to world-class education and research at the University of Wisconsin. The UW System is Wisconsin’s premier developer of human talent, essential to a strong future for our state. By successfully employing the concept of One System, One Library, UW Libraries provide world-class online, digital, and print collections that advance teaching, learning, and research. Recognizing that discovery and innovation requires access to new knowledge, UW Libraries work efficiently to deliver services and resources to ensure success for students, faculty members, researchers and Wisconsin residents